Page 39 of Hazard
-- Here the text breaks off for calculated crystals --
Here is K2NaCl3 after structural relaxation from the Materials Project database. Energies are from GGA-PBE.

abc: 4.4056 4.4056 18.3348
angles: 90.00 90.00 90.00
Space group I4/mmm (No. 139)
Symmetry-distinct sites (fractional):
K1 0.0000 0.0000 0.1657 [4 per cell]
Na1 0.0000 0.0000 0.5000 [2 per cell]
Cl1 0.0000 0.0000 0.0000 [2 per cell]
Cl2 0.0000 0.0000 0.3421 [4 per cell]

DFT formation energy	-2.18	eV/atom
V	29.7	Å³/atom
M_tot	0.00	μB per cell
excess energy over the best structure of this formula in the dataset	14	meV/atom

---

Here is KNa4Cl5 after structural relaxation from the Materials Project database. Energies are from GGA-PBE.

abc: 4.1012 5.9196 20.6780
angles: 90.00 90.00 90.00
Space group Immm (No. 71)
Symmetry-distinct sites (fractional):
K1 0.0000 0.0000 0.0000 [2 per cell]
Na1 0.0000 0.0000 0.2035 [4 per cell]
Na2 0.0000 0.0000 0.3964 [4 per cell]
Cl1 0.0000 0.5000 0.0000 [2 per cell]
Cl2 0.0000 0.5000 0.1988 [4 per cell]
Cl3 0.0000 0.5000 0.3888 [4 per cell]

DFT formation energy	-2.12	eV/atom
V	25.1	Å³/atom
excess energy over the best structure of this formula in the dataset	7	meV/atom

---

Here is K2NaCl3 after structural relaxation from the Materials Project database. Energies are from GGA-PBE.

abc: 4.3404 4.3404 10.7417
angles: 90.00 90.00 120.00
Space group P-3m1 (No. 164)
Symmetry-distinct sites (fractional):
K1 0.3333 0.6667 0.1788 [2 per cell]
Na1 0.0000 0.0000 0.5000 [1 per cell]
Cl1 0.0000 0.0000 0.0000 [1 per cell]
Cl2 0.3333 0.6667 0.6428 [2 per cell]

DFT formation energy	-2.19	eV/atom
V	29.2	Å³/atom
excess energy over the best structure of this formula in the dataset	0	meV/atom

* * * * *

Material: Bi2Pb2Se5
Method: DFT, PBE
State: relaxed

For the formation energy from the elements, the calculation gives -0.720 eV/atom. The crystal system is trigonal. Its volume is 267 Å³ per cell.

The structure belongs to space group P-3m1 (No. 164); the cell edges are 4.2778, 4.2778 and 16.8745 Å and the angles 90.00°, 90.00° and 120.00°. The asymmetric unit holds Bi at (0.0000, 0.0000, 0.1658), Pb at (0.3333, 0.6667, 0.6110), Se at (0.0000, 0.0000, 0.5000), Se at (0.3333, 0.6667, 0.2790) and Se at (0.3333, 0.6667, 0.9233).

* * * * *

! Er2SO2, optimized geometry, DFT meta-GGA r2SCAN; values from VASP
&SYSTEM
  ibrav = 0, nat = 5, ntyp = 3
/
ATOMIC_SPECIES
Er 167.26 Er.upf
S 32.06 S.upf
O 16.00 O.upf
CELL_PARAMETERS angstrom
-1.9513 -0.6751 -3.1160
3.3338 -1.6139 0.5042
-2.8940 -5.0686 2.9104
ATOMIC_POSITIONS crystal
Er 0.6667 0.3333 0.7164
Er 0.3333 0.6667 0.2836
S 0.0000 0.0000 0.0000
O 0.6667 0.3333 0.3708
O 0.3333 0.6667 0.6292
! - ΔE_f (eV per atom) = -3.577
! - crystal system = trigonal
! - VASP energy (eV/atom) = -21.14
! - symmetry = P-3m1 (164)
! - magnetization (μB/f.u.) = 0.0

---

! ErSbO4, optimized geometry, DFT meta-GGA r2SCAN; values from VASP
&SYSTEM
  ibrav = 0, nat = 24, ntyp = 3
/
ATOMIC_SPECIES
Er 167.26 Er.upf
Sb 121.76 Sb.upf
O 16.00 O.upf
CELL_PARAMETERS angstrom
-3.6311 -3.7406 0.9132
She lifted her hips and his big body shuddered. He buried his face against her neck, his ragged breath hot and damp against her skin. “Leigh, tell me you’re ready for this, that you won’t have regrets, that this isn’t something you’re trying to use to deal with your fear and pain. I can’t—I won’t—compromise you. I won’t participate in that kind of shit no matter how much I want to fuck you.”
In the back of her mind, she couldn’t help but think if this need for him was her way of showing she was coming to life after being in limbo for a long time or if she was just tired of her own bullshit. The authenticity of her feelings felt so damn good. It made her gasp softly against his mouth.
She released a soft breath, completely undone by him. “I wouldn’t have initiated anything with you to hurt you in any way or to compromise you. I’m so in awe of your humbleness, even when you do heroic and aggressive things like expose yourself to enemy fire and jump on a fifty cal, whatever that is, and save your team.”
Hazard bent his head and dragged his hand across his eyes, then inhaled raggedly. He looked away, the muscles in his throat convulsing, and she nearly broke down before she got the words out.
“That would tear out my heart and break me beyond repair. You are the kindest, most caring and giving guy I have ever met, and I want you so badly. Conde didn’t take anything from me, not a thing. Even if he had succeeded, he still would have gotten nothing. I was saving it all for you, just you.” She took a hard breath. “It was you who got me through all of it. I knew you’d come for me.”
His gaze came back to hers. “Ah, geezus, Leelee,” he whispered, his face contorting with raw emotion as he reached for her, cupping her face. Then he tipped her head back and slowly lowered his lips, and Leigh made a helpless sound and let her eyes drift shut. Exerting pressure on her jaw, he opened her mouth, then covered it in a wet, deep, searching kiss that drove every ounce of strength out of her body. Working his mouth hungrily against hers, drawing her hips even closer, sent her into a frenzy as the well of need for this man seemed endless.
He thrust against her, his erection straining the front of his briefs. She couldn’t breathe, she couldn’t think, all she could do was hang on and ride out the thousand sensations exploding in her. Hazard caught her by the hips and molded her flush against him, his mouth wide and hot as he ran his hand under the T-shirt, bunching it in his hands and dragging her closer.
He abruptly ended the kiss and looked down, his eyes flaring. “Is this…mine?”
“Yes,” she whispered, tenderness as well as a frightening vulnerability revealed in not only the act of wearing his shirt but the meaning behind it.
He closed his eyes, a deep, tortured groan rumbled up from his throat. “Goddamn, Leelee.” He let go of the fabric as he ran his hand up her back, emitting a low sound of approval when he encountered nothing but bare skin. Sliding his hand up her bare torso, he cupped her breast, stroking her with his thumb.
_Unrelated to this text: records of crystals_
=====
Entry 1:
{"formula": "Tb2Ti3Si4", "functional": "PBE", "state": "relaxed", "sg": "P4_12_12 (92)", "dft_energy_ev_per_atom": -6.875, "lattice_angstrom": [[-2.414, -1.735, 6.414], [6.449, 1.035, 2.707], [-2.948, 12.457, 2.259]], "species": ["Tb", "Tb", "Tb", "Tb", "Tb", "Tb", "Tb", "Tb", "Si", "Si", "Si", "Si", "Si", "Si", "Si", "Si", "Si", "Si", "Si", "Si", "Si", "Si", "Si", "Si", "Ti", "Ti", "Ti", "Ti", "Ti", "Ti", "Ti", "Ti", "Ti", "Ti", "Ti", "Ti"], "fractional_positions": [[0.497, 0.840, 0.717], [0.160, 0.503, 0.783], [0.003, 0.340, 0.533], [0.840, 0.497, 0.283], [0.660, 0.997, 0.967], [0.503, 0.160, 0.217], [0.340, 0.003, 0.467], [0.997, 0.660, 0.033], [0.871, 0.798, 0.815], [0.954, 0.291, 0.935], [0.791, 0.546, 0.685], [0.129, 0.202, 0.315], [0.454, 0.209, 0.815], [0.291, 0.954, 0.065], [0.546, 0.791, 0.315], [0.709, 0.046, 0.565], [0.629, 0.298, 0.435], [0.202, 0.129, 0.685], [0.702, 0.371, 0.065], [0.046, 0.709, 0.435], [0.298, 0.629, 0.565], [0.371, 0.702, 0.935], [0.798, 0.871, 0.185], [0.209, 0.454, 0.185], [0.827, 0.173, 0.750], [0.653, 0.491, 0.873], [0.847, 0.991, 0.377], [0.491, 0.653, 0.127], [0.009, 0.153, 0.123], [0.153, 0.009, 0.877], [0.509, 0.347, 0.627], [0.991, 0.847, 0.623], [0.347, 0.509, 0.373], [0.673, 0.673, 0.500], [0.327, 0.327, 0.000], [0.173, 0.827, 0.250]]}

Entry 2:
{"formula": "Mg6AlC", "functional": "PBE", "state": "relaxed", "relative_energy_ev_per_atom": 0.238, "lattice_angstrom": [[-2.848, 0.316, 4.073], [-1.763, -5.570, -0.800], [7.912, -3.337, 5.791]], "species": ["Al", "Al", "Mg", "Mg", "Mg", "Mg", "Mg", "Mg", "Mg", "Mg", "Mg", "Mg", "Mg", "Mg", "C", "C"], "fractional_positions": [[0.000, 0.000, 0.831], [0.000, 0.500, 0.331], [0.000, 0.740, 0.088], [0.000, 0.760, 0.588], [0.000, 0.500, 0.833], [0.500, 0.500, 0.667], [0.000, 0.240, 0.588], [0.500, 0.247, 0.914], [0.000, 0.000, 0.333], [0.500, 0.000, 0.167], [0.500, 0.747, 0.414], [0.500, 0.253, 0.414], [0.000, 0.260, 0.088], [0.500, 0.753, 0.914], [0.500, 0.500, 0.165], [0.500, 0.000, 0.665]]}

Entry 3:
=====
His touch drove the breath right out of her, and she made another helpless sound against his mouth, hardening her nipples even more, her breasts swelling. Hazard tightened his arm around her back and dragged his mouth away, his breathing labored. Her heart racing and her pulse thick and heavy, she turned her face against his neck, the warmth of his hand filling her with a heavy weakness.
“Geezus, babe, you feel so good,” he whispered raggedly, dragging his fingers against her hardened nipple. With one passionate move, he stripped the garment off her, captured her wrists, and drew her hands over her head. She had a dangerous flash of how she’d been restrained but told herself that Hazard was the only safe haven in the storm. He would never hurt her. Her breasts rose and fell with each quick breath, her nipples tightening into aching, throbbing points, as flushed as the rest of her half-naked body.
He stared at her, his eyes darkening, and she arched her back against the electric chemistry between them. He didn’t even have to physically touch her for her to hunger and her body react.
A small moan escaped her lips, a needy sound that Hazard absorbed. He clasped his hand around her breast, plumping the nipple, then his thumb zinged across the hard, aching knot, stroking and swirling around her aureoles, rasping across her tight, aching bud again—gentle at first, then harder, firmer, creating an unbearable agonizing sensation that spiraled straight down to the hot, wet center of her.
She groaned in surrender and anticipation of feeling his mouth on her. The wanting made her weak. When his hot mouth engulfed her nipple, sucking her deep, the pleasure was so immense, her entire body shuddered, and she cried out.
He took his time savoring her, driving her to a feverish pitch, until he abruptly changed to her other stinging, throbbing nipple, sucking and using his tongue with a thoroughness that went on and on. Dragging his mouth away, he shuddered and turned his head against hers, the muscles in his back bunching as he flexed his hips against her.
She reached down to touch him, slid her hand between cotton and hard, hot man, her fingers lingering over the broad, velvet head of his shaft. He sucked in a hissing breath, thrusting into her hand as she closed over all that thick, pulsing power. She wanted all of him, every inch. She rose up and pushed him back in a feverish move that caught him completely off guard. When his back hit the mattress, she had her hands in his boxer briefs so tightly, her fists were white. She pulled hard at the same time he lifted his hips, and it took her seconds to get rid of that barrier to her eyes.
Damn…oh, freaking wow. She could barely breathe. As if his gorgeous, muscled body, lean and powerful—thick through his chest, rippling his abs, the strong, sexy column of his throat, his stubbled jaw, and those sexy hip muscles bisecting his lower torso—his hot blue eyes, and the melting beauty of his face wasn’t enough, his male anatomy would keep a woman busy for as long as he could stand it. If she hadn’t been crazy for him before, she was almost out of her mind with desire. His erection jutted out, thick and hard, and more than enough to fill her full, and then some. The head, smooth and broad, drew her eyes and her mouth, his balls drawn tight from his arousal.
She wanted to spend the next hour just touching him, stroking him, and exploring everything that made him so virile and potently male.
Just like her, he groaned and closed his eyes, shuddering from the way she looked at him, and it went to her head like a delicious drug, making her pulse trip all over itself, the delicious sight of his body instigating a hungry ache through her veins.
“Geezus, Leelee,” he whispered, his ragged breathing harsh in the silence of the room. “Do something before I go insane.”
Settling between his legs, she leaned forward and captured one of his rigid nipples between her lips. She laved the erect nub of flesh with her tongue and grazed the tip with the edge of her teeth. A groan rumbled up from his chest as she traversed her way lower, spreading hot, wet kisses on his taut, flat belly. Finally, she came to his thick, straining erection. She wrapped her fingers around the hard, velvet-textured length of him, and felt him pulse in her tight grip. Her other hand cupped his sack and kneaded him. She smoothed her finger over the big, plumb-shaped head of his cock.
She looked up at him from between her tangled lashes and said, “You’ve often called me mouthy. Let’s see what else I can do with it besides argue.”
His nostrils flared, and stark desire heated his eyes. “Fuck…Leelee. Fuck,” he growled as she took him in her wet mouth, his skin hot and salty against the stroke of her tongue. He shuddered and tangled his hands in her hair, and she sucked him, taking him as deep as she could. She pleasured him with her mouth, teased him with her tongue, and aroused him to a fever pitch of need that made his entire body shake with the restraint of trying to hold back.
“Oh, geezus,” he breathed as he uncontrollably thrust his hips against her mouth and lips, guttural sounds that made her ache for him in ways that went beyond the physical.
He pushed on her shoulders, and she reluctantly released him, aching to bring him to a full orgasm, but she needed him so badly between her thighs. She’d find time for that later.
Then he was upright, picking her up like she was nothing but a feather. His hands splayed wide on her back as he flipped her onto the mattress. Catching at the sides of her lace panties, he dragged them off, nearly ripping them in his haste to get her naked. With quick, urgent movements he used his knee to widen her legs and dropped his tawny head down. His mouth grazed her collarbone, the tip of one breast, her midriff. The feel of his hot, damp mouth on her made her cry out, his firm, searing strokes against her core feeding her hunger. He closed his warm, wet mouth over her and plunged his tongue deep. This time she was rocking her hips in the throes of passion so deep, it shook her foundations. Then the pleasure took over, sharp and riveting, and stealing her breath, releasing like a rubber band and snapping back with such sharp, aching waves of unbelievable sensations. She lifted her hips as her orgasm clawed through her, ripples of pleasure ebbing and flowing until she was mindless, panting, intoxicated, and consumed.
The shudders within her blown mind and body seemed to go on and on, and before the last of the tremors subsided, Hazard was moving up and over her. He covered her body, all hard, lean muscles and barely suppressed hunger. In one long, smooth thrust he slid into her, and she lifted her knees high against his waist to give him the deepest access possible. Once he was buried to the hilt, he closed his eyes and groaned as her inner muscles clasped him tight.
She was sure he wanted to come in the worst way, but instead of pumping into her, he went still, as if relishing the moment, the warmth and softness of being inside her, and the aftermath of the internal contractions still buffeting her body.